-- Entries --
Record 1
Molecular formula: ClCrIO8S
Method: DFT, the ωB97M-V functional and the def2-TZVPD basis

Element x y z (Å)
Cr  8.290  -2.099  22.580
S  10.740  -1.233  24.535
O  11.313  -2.527  24.159
O  9.722  -1.047  23.480
O  10.063  -1.250  25.820
O  11.776  -0.207  24.497
I  8.294  -4.507  23.707
Cl  4.455  -1.796  22.163
O  3.705  -1.105  23.245
O  4.305  -3.206  22.138
O  4.353  -1.230  20.790
O  5.793  -1.905  22.583

Summary:
HOMO energy (alpha / beta): -6.27 / -6.37 eV
Charge: -1
2S+1: 6

Results of the Löwdin charge analysis, in e, for atoms 1 through 5: 0.618, 0.247, -0.197, -0.500, -0.204



Record 2
Molecular formula: C24H57BF4N4O5
Method: DFT, the ωB97M-V functional and the def2-TZVPD basis

Element x y z (Å)
C  4.056  -2.803  4.800
C  2.868  -2.517  3.850
C  2.204  -3.768  3.201
N  1.173  -3.473  2.134
C  1.788  -3.393  0.784
C  0.143  -2.427  2.440
C  -1.052  -2.933  1.703
C  -1.017  -4.411  1.577
C  0.348  -4.677  2.133
H  4.440  -1.944  5.331
H  4.966  -3.053  4.199
H  3.796  -3.683  5.682
H  3.044  -1.809  3.037
H  2.032  -1.856  4.308
H  1.691  -4.223  3.969
H  3.136  -4.371  2.778
H  1.169  -3.232  0.042
H  2.434  -4.139  0.639
H  2.431  -2.461  0.877
H  0.390  -1.392  2.084
H  0.043  -2.422  3.516
H  -1.268  -2.334  0.684
H  -2.008  -2.625  2.230
H  -1.091  -4.676  0.465
H  -1.866  -4.838  1.890
H  0.840  -5.437  1.590
H  0.096  -5.061  3.067
B  -0.487  0.340  -0.610
F  -0.263  1.663  -0.675
F  -1.143  0.169  0.731
F  -1.565  0.085  -1.464
F  0.575  -0.484  -0.741
C  2.122  -1.560  -3.577
C  3.196  -2.571  -3.235
N  3.975  -3.365  -2.909
H  2.170  -1.315  -4.726
H  1.191  -2.041  -3.688
H  2.187  -0.734  -3.021
C  -1.852  2.379  -3.561
C  -1.799  3.771  -4.114
N  -1.841  4.863  -4.441
H  -1.021  1.913  -3.311
H  -2.145  2.308  -2.686
H  -2.466  1.661  -4.090
C  -4.656  -1.700  0.200
C  -4.593  -3.141  0.834
N  -4.393  -4.196  1.270
H  -5.737  -1.725  -0.264
H  -4.785  -1.003  0.947
H  -3.845  -1.416  -0.346
C  3.318  3.526  -1.126
C  3.833  4.380  -2.227
O  2.801  5.357  -2.540
H  3.484  4.272  -0.394
H  3.775  2.723  -0.827
H  2.218  3.129  -1.286
H  4.158  3.816  -3.005
H  4.833  4.818  -1.933
H  3.129  5.826  -3.315
C  3.142  1.261  2.744
C  2.181  1.104  1.650
O  2.745  0.241  0.740
H  3.277  0.473  3.483
H  2.878  2.170  3.184
H  4.111  1.441  2.466
H  1.829  2.097  1.089
H  1.224  0.774  1.985
H  1.921  0.036  0.132
C  -0.736  6.727  -0.417
C  -0.609  5.262  -1.035
O  -0.696  4.338  -0.035
H  -0.041  6.496  0.454
H  -1.780  6.874  -0.005
H  -0.419  7.578  -1.104
H  0.356  5.361  -1.560
H  -1.368  5.267  -1.770
H  -0.776  3.459  -0.521
C  -2.548  -3.036  -5.255
C  -2.593  -1.758  -4.434
O  -1.816  -2.046  -3.233
H  -2.885  -2.897  -6.343
H  -3.279  -3.732  -4.784
H  -1.609  -3.417  -5.196
H  -3.604  -1.584  -4.176
H  -2.089  -0.995  -4.854
H  -1.753  -1.259  -2.817
C  -4.480  2.422  2.687
C  -3.438  1.909  1.824
O  -3.203  0.593  2.466
H  -4.078  2.836  3.772
H  -5.317  1.806  2.890
H  -4.997  3.346  2.253
H  -2.721  2.725  2.030
H  -3.798  2.102  0.822
H  -2.182  0.272  1.960

Summary:
HOMO energy: -9.27 eV
Charge: 0

Results of the Löwdin charge analysis, in e, for atoms 1 through 5: -0.103, -0.253, -0.108, -0.231, 0.066



Record 3
Molecular formula: CH6ClPSi2
Method: DFT, the ωB97M-V functional and the def2-TZVPD basis

Element x y z (Å)
C  -1.567  1.031  0.712
Si  -1.159  1.395  -1.097
Si  0.059  -1.880  1.307
P  -1.805  0.588  2.211
Cl  1.362  -3.443  1.091
H  -1.126  -0.051  -1.695
H  -2.044  2.238  -1.806
H  0.085  1.961  -0.871
H  -0.904  -1.994  0.163
H  0.612  -0.622  1.081
H  -0.401  -1.900  2.633

Summary:
HOMO energy (alpha / beta): -6.28 / -9.75 eV
Charge: 0
2S+1: 3

Results of the Löwdin charge analysis, in e, for atoms 1 through 5: -0.791, 0.518, 0.064, 0.686, 0.167



Record 4
Molecular formula: H4OS
Method: DFT, the ωB97M-V functional and the def2-TZVPD basis

Element x y z (Å)
O  -1.269  0.540  -1.715
H  -1.468  1.504  -1.705
H  -1.285  0.274  -0.768
S  1.789  -1.036  1.054
-- Work order --
Start at the top of the notes further up and retype each line, ending with the one that has "2.211".
-- Response --
Record 1
Molecular formula: ClCrIO8S
Method: DFT, the ωB97M-V functional and the def2-TZVPD basis

Element x y z (Å)
Cr  8.290  -2.099  22.580
S  10.740  -1.233  24.535
O  11.313  -2.527  24.159
O  9.722  -1.047  23.480
O  10.063  -1.250  25.820
O  11.776  -0.207  24.497
I  8.294  -4.507  23.707
Cl  4.455  -1.796  22.163
O  3.705  -1.105  23.245
O  4.305  -3.206  22.138
O  4.353  -1.230  20.790
O  5.793  -1.905  22.583

Summary:
HOMO energy (alpha / beta): -6.27 / -6.37 eV
Charge: -1
2S+1: 6

Results of the Löwdin charge analysis, in e, for atoms 1 through 5: 0.618, 0.247, -0.197, -0.500, -0.204



Record 2
Molecular formula: C24H57BF4N4O5
Method: DFT, the ωB97M-V functional and the def2-TZVPD basis

Element x y z (Å)
C  4.056  -2.803  4.800
C  2.868  -2.517  3.850
C  2.204  -3.768  3.201
N  1.173  -3.473  2.134
C  1.788  -3.393  0.784
C  0.143  -2.427  2.440
C  -1.052  -2.933  1.703
C  -1.017  -4.411  1.577
C  0.348  -4.677  2.133
H  4.440  -1.944  5.331
H  4.966  -3.053  4.199
H  3.796  -3.683  5.682
H  3.044  -1.809  3.037
H  2.032  -1.856  4.308
H  1.691  -4.223  3.969
H  3.136  -4.371  2.778
H  1.169  -3.232  0.042
H  2.434  -4.139  0.639
H  2.431  -2.461  0.877
H  0.390  -1.392  2.084
H  0.043  -2.422  3.516
H  -1.268  -2.334  0.684
H  -2.008  -2.625  2.230
H  -1.091  -4.676  0.465
H  -1.866  -4.838  1.890
H  0.840  -5.437  1.590
H  0.096  -5.061  3.067
B  -0.487  0.340  -0.610
F  -0.263  1.663  -0.675
F  -1.143  0.169  0.731
F  -1.565  0.085  -1.464
F  0.575  -0.484  -0.741
C  2.122  -1.560  -3.577
C  3.196  -2.571  -3.235
N  3.975  -3.365  -2.909
H  2.170  -1.315  -4.726
H  1.191  -2.041  -3.688
H  2.187  -0.734  -3.021
C  -1.852  2.379  -3.561
C  -1.799  3.771  -4.114
N  -1.841  4.863  -4.441
H  -1.021  1.913  -3.311
H  -2.145  2.308  -2.686
H  -2.466  1.661  -4.090
C  -4.656  -1.700  0.200
C  -4.593  -3.141  0.834
N  -4.393  -4.196  1.270
H  -5.737  -1.725  -0.264
H  -4.785  -1.003  0.947
H  -3.845  -1.416  -0.346
C  3.318  3.526  -1.126
C  3.833  4.380  -2.227
O  2.801  5.357  -2.540
H  3.484  4.272  -0.394
H  3.775  2.723  -0.827
H  2.218  3.129  -1.286
H  4.158  3.816  -3.005
H  4.833  4.818  -1.933
H  3.129  5.826  -3.315
C  3.142  1.261  2.744
C  2.181  1.104  1.650
O  2.745  0.241  0.740
H  3.277  0.473  3.483
H  2.878  2.170  3.184
H  4.111  1.441  2.466
H  1.829  2.097  1.089
H  1.224  0.774  1.985
H  1.921  0.036  0.132
C  -0.736  6.727  -0.417
C  -0.609  5.262  -1.035
O  -0.696  4.338  -0.035
H  -0.041  6.496  0.454
H  -1.780  6.874  -0.005
H  -0.419  7.578  -1.104
H  0.356  5.361  -1.560
H  -1.368  5.267  -1.770
H  -0.776  3.459  -0.521
C  -2.548  -3.036  -5.255
C  -2.593  -1.758  -4.434
O  -1.816  -2.046  -3.233
H  -2.885  -2.897  -6.343
H  -3.279  -3.732  -4.784
H  -1.609  -3.417  -5.196
H  -3.604  -1.584  -4.176
H  -2.089  -0.995  -4.854
H  -1.753  -1.259  -2.817
C  -4.480  2.422  2.687
C  -3.438  1.909  1.824
O  -3.203  0.593  2.466
H  -4.078  2.836  3.772
H  -5.317  1.806  2.890
H  -4.997  3.346  2.253
H  -2.721  2.725  2.030
H  -3.798  2.102  0.822
H  -2.182  0.272  1.960

Summary:
HOMO energy: -9.27 eV
Charge: 0

Results of the Löwdin charge analysis, in e, for atoms 1 through 5: -0.103, -0.253, -0.108, -0.231, 0.066



Record 3
Molecular formula: CH6ClPSi2
Method: DFT, the ωB97M-V functional and the def2-TZVPD basis

Element x y z (Å)
C  -1.567  1.031  0.712
Si  -1.159  1.395  -1.097
Si  0.059  -1.880  1.307
P  -1.805  0.588  2.211